Brief:
The reader should set down every line underneath that contains the word "ATOMIC_POSITIONS".
Listing:
=====
! GGA-PBE HoBiPd, optimized geometry; values from VASP
&SYSTEM
  ibrav = 0, nat = 12, ntyp = 3
/
ATOMIC_SPECIES
Ho 164.93 Ho.upf
Bi 208.98 Bi.upf
Pd 106.42 Pd.upf
ATOMIC_POSITIONS crystal
Ho 0.0000 0.0000 0.0000
Ho 0.0000 0.5000 0.5000
Ho 0.5000 0.0000 0.5000
Ho 0.5000 0.5000 0.0000
Bi 0.0000 0.0000 0.5000
Bi 0.0000 0.5000 0.0000
Bi 0.5000 0.0000 0.0000
Bi 0.5000 0.5000 0.5000
Pd 0.2500 0.2500 0.7500
Pd 0.2500 0.7500 0.2500
Pd 0.7500 0.2500 0.2500
Pd 0.7500 0.7500 0.7500
CELL_PARAMETERS angstrom
6.7122 0.0000 0.0000
0.0000 6.7122 0.0000
0.0000 0.0000 6.7122
! * mass density: 10.55 g/cm³
! * ΔH_f (0 K): -0.932 eV/atom
! * calculated total energy: -5.4830 eV per atom

=====

! GGA-PBE GdErIr2, optimized geometry; values from VASP
&SYSTEM
  ibrav = 0, nat = 16, ntyp = 3
/
ATOMIC_SPECIES
Gd 157.25 Gd.upf
Er 167.26 Er.upf
Ir 192.22 Ir.upf
ATOMIC_POSITIONS crystal
Gd 0.0000 0.0000 0.0000
Gd 0.0000 0.5000 0.5000
Gd 0.5000 0.0000 0.5000
Gd 0.5000 0.5000 0.0000
Er 0.0000 0.0000 0.5000
Er 0.0000 0.5000 0.0000
Er 0.5000 0.0000 0.0000
Er 0.5000 0.5000 0.5000
Ir 0.2500 0.2500 0.2500
Ir 0.2500 0.2500 0.7500
Ir 0.2500 0.7500 0.2500
Ir 0.2500 0.7500 0.7500
Ir 0.7500 0.2500 0.2500
Ir 0.7500 0.2500 0.7500
Ir 0.7500 0.7500 0.2500
Ir 0.7500 0.7500 0.7500
CELL_PARAMETERS angstrom
6.8638 0.0000 0.0000
0.0000 6.8638 0.0000
0.0000 0.0000 6.8638
! * mass density: 14.56 g/cm³
! * ΔH_f (0 K): -0.819 eV/atom
! * calculated total energy: -9.8994 eV per atom

=====

! GGA-PBE RbReO3, optimized geometry; values from VASP
&SYSTEM
  ibrav = 0, nat = 5, ntyp = 3
/
ATOMIC_SPECIES
Rb 85.47 Rb.upf
Re 186.21 Re.upf
O 16.00 O.upf
ATOMIC_POSITIONS crystal
Rb 0.0000 0.0000 0.0000
Re 0.5000 0.5000 0.5000
O 0.0000 0.5000 0.5000
O 0.5000 0.0000 0.5000
O 0.5000 0.5000 0.0000
CELL_PARAMETERS angstrom
3.9841 0.0000 0.0000
0.0000 3.9841 0.0000
0.0000 0.0000 3.9841
! * mass density: 8.39 g/cm³
! * ΔH_f (0 K): -1.974 eV/atom
! * calculated total energy: -7.2155 eV per atom

=====

! GGA-PBE K2HgHCl4, optimized geometry; values from VASP
&SYSTEM
  ibrav = 0, nat = 16, ntyp = 4
/
ATOMIC_SPECIES
K 39.10 K.upf
Hg 200.59 Hg.upf
H 1.01 H.upf
Cl 35.45 Cl.upf
ATOMIC_POSITIONS crystal
K 0.0941 0.1809 0.0000
K 0.4059 0.6809 0.0000
K 0.5941 0.3191 0.0000
K 0.9059 0.8191 0.0000
Hg 0.0000 0.5000 0.5000
Hg 0.5000 0.0000 0.5000
H 0.0000 0.0000 0.5000
H 0.5000 0.5000 0.5000
Cl 0.1203 0.6905 0.5000
Cl 0.2278 0.4409 0.0000
Cl 0.2722 0.9409 0.0000
Cl 0.3797 0.1905 0.5000
Cl 0.6203 0.8095 0.5000
Cl 0.7278 0.0591 0.0000
Cl 0.7722 0.5591 0.0000
Cl 0.8797 0.3095 0.5000
CELL_PARAMETERS angstrom
7.8615 0.0000 0.0000
0.0000 12.0072 0.0000
0.0000 0.0000 4.5632
! * mass density: 3.25 g/cm³
! * ΔH_f (0 K): -1.234 eV/atom
! * calculated total energy: -2.5905 eV per atom

=====

! GGA-PBE HfAl3Ni12, optimized geometry; values from VASP
&SYSTEM
  ibrav = 0, nat = 16, ntyp = 3
/
ATOMIC_SPECIES
Hf 178.49 Hf.upf
Al 26.98 Al.upf
Ni 58.69 Ni.upf
ATOMIC_POSITIONS crystal
Hf 0.0000 0.0000 0.0000
Al 0.0000 0.0000 0.2552
Al 0.0000 0.0000 0.5000
Al 0.0000 0.0000 0.7448
Ni 0.0000 0.5000 0.1332
Ni 0.0000 0.5000 0.3769
Ni 0.0000 0.5000 0.6231
Ni 0.0000 0.5000 0.8668
Ni 0.5000 0.0000 0.1332
Ni 0.5000 0.0000 0.3769
Ni 0.5000 0.0000 0.6231
Ni 0.5000 0.0000 0.8668
Ni 0.5000 0.5000 0.0000
Ni 0.5000 0.5000 0.2550
Ni 0.5000 0.5000 0.5000
Ni 0.5000 0.5000 0.7450
CELL_PARAMETERS angstrom
3.6212 0.0000 0.0000
0.0000 3.6212 0.0000
0.0000 0.0000 14.2730
! * mass density: 8.55 g/cm³
! * ΔH_f (0 K): -0.456 eV/atom
! * calculated total energy: -6.1162 eV per atom

=====

! GGA-PBE Rb2MnBi2, optimized geometry; values from VASP
&SYSTEM
  ibrav = 0, nat = 5, ntyp = 3
/
ATOMIC_SPECIES
Rb 85.47 Rb.upf
Mn 54.94 Mn.upf
Bi 208.98 Bi.upf
ATOMIC_POSITIONS crystal
Rb 0.0000 0.0000 0.1356
Rb 0.0000 0.0000 0.8644
Mn 0.0000 0.0000 0.5000
Bi 0.0000 0.0000 0.3428
Bi 0.0000 0.0000 0.6572
CELL_PARAMETERS angstrom
3.7412 0.0000 0.0000
0.0000 3.7412 0.0000
0.0000 0.0000 16.9359
! * mass density: 4.51 g/cm³
! * ΔH_f (0 K): 0.525 eV/atom
=====
Worked solution:
ATOMIC_POSITIONS crystal
ATOMIC_POSITIONS crystal
ATOMIC_POSITIONS crystal
ATOMIC_POSITIONS crystal
ATOMIC_POSITIONS crystal
ATOMIC_POSITIONS crystal